


This Weeks Astrology שבע כוכבי לכת

12 StarSigns Weekly Predictions






This Week's Summary for 12 StarSigns

Monday 22nd => Monday 29th July 2024


"Ignore & Let-Go of Toxic-Nonsense"

"Don't Lie - Be Truthful With Yourself"

Full explanations for all 12 StarSigns @ "This Weeks Astrology"



Planets define "Priorites Have Changed"

"Important Changes for Every StarSign"

"Duality creates Clear-Thinking Honesty"

1. Sun arrives HOME in Leo [Fire]

2. Mercury & Venus in Leo [Fire]

3. Mercury arrives HOME in Virgo [Earth]

4. Mars & Jupiter in Gemini [Air]

5. Mars trines Pluto in Aquarius [Air]

6. Sun opposes Pluto in Aquarius [Air]

7. Saturn & Neptune in Pisces [Water]


Weekly Summary Audio

Weekly Short&Sweet Summary

Weekly Moon Summary Audio

Weekly Moon Summary

Audio for - Weekly Summary

Weekly "Funny" Summary

Audio for - Weekly Summary

Weekly "Wise" Summary


* Sun 0° => 7° HOME Leo [Fire]

* Moon Aquarius-Pisces-Aries-Taurus

* Mercury 26° Leo [Fire] => 2° Virgo [Earth]

* Mercury HOME Virgo [Earth] - 26th July

* Venus 12° => 21° Leo [Fire]

* Mars 0° => 5° Gemini [Air]

* Jupiter 12°32' => 13°51' Gemini [Air]

* Saturn rx 19°02' => 18°44' Pisces [Water]

* Uranus 26°33' => 26°46' Taurus [Earth]

* Neptune rx 29°50' => 29°45' Pisces [Water]

* Pluto rx 0°54' => 0°44' Aquarius [Air]




"Truth creates +ve Energy"

"Focus & Determination"


"Success & Happiness" is finding the RIGHT ENERGY

"Peace & Stability" is when you've eliminated TOXIC

"Genuine & authentic" is when you've found TRUTH


The RIGHT ENERGY created by INNER planets

Sun in HOME in Leo [Fire]

Mercury & Venus in Leo [Fire]

Mercury HOME in Virgo [Earth]


Being TRUTHFUL created by OUTER planets

Your "TRUTH" creates Happiness & Success


Mars & Jupiter in Gemini [Air]

Pluto in Aquarius [Air]

Saturn & Neptune in Pisces [Water]



Sun in Leo [Fire] - "Natural-Energy"

Sun in Leo [Fire] - 22nd July => 22nd August 2024

Full Explanations @ "Sun in Leo - This Month's Astrological Events"


Sun in Leo [Fire] defines STRONG ENERGIES

Sun in Leo [Fire] is the 100% STRENGTH of ENERGY

Sun in Leo [Fire] reveals whatever gives you STRENGTH


This week is a POWERFUL beginning of the Leo [Fire]

22nd/23rd July: Sun 1° Leo [Fire] opposes Pluto 1° Aquarius [Air]

In July 2024 - the "NEW phase" is revealed/permanent/forever

In July 2024 - Life improves and strengthens the "NEW phase"



Mercury in Leo [Fire]

Mercury in Leo [Fire] - 2nd July => 25th July 2024

Mercury will be back Leo [Fire] during the retrograde

Mercury in Leo [Fire] - 15th August => 9th September 2024



Mercury HOME in Virgo [Earth]

Mercury in Virgo [Earth] - 25th July => 15th August 2024

Mercury in Virgo [Earth] - 9th => 26th September 2024


Mercury direct until - 5th August 2024

Mercury retrograde - 5th August => 29th August 2024


Mercury ahead of the Sun is GOOD for "NEW" ideas

Mercury pulls your thoughts into "THE FUTURE"

Mercury ensures you're thinking clearly of what's RIGHT


Mercury begins the retrograde from 5th August 2024

Mercury retrograde will create "RECONNECTIONS"



Venus in Leo [Fire]

Venus in Leo [Fire] - 11th July => 5th August 2024

Venus ahead of the Sun is GOOD for "NEW" love-energy


Venus in Leo [Fire] - "TURNED-ON" EXCITEMENT

Venus in Leo [Fire] - defines "SEX" - the need for "SEX"

Venus in Leo [Fire] - will reveal and create "it" all

Venus in Leo [Fire] - will be impulsive and illogical

Venus in Leo [Fire] - is passion and desires

Venus in Leo [Fire] - is restless and naughty

Venus in Leo [Fire] - will be determined and ruthless



Mars in Gemini [Air]

Mars in Gemini [Air] - 20th July => 4th September 2024

Gemini [Air] - talkative - friendly - chatty - communicative

Gemini [Air] - makes talking happen naturally

Outer planet - Mars in Gemini [Air] - once every 2 years

Mars & Jupiter in Gemini [Air] - once every 12 years


Mars in Gemini [Air] - says - BEGIN SOMETHING NEW

Mars in Gemini [Air] - ensures - NEW creates NEW ENERGY

Mars in Gemini [Air] - creates "determination/breakthroughs"

Mars in Gemini [Air] - is something you needed and want



Jupiter in Gemini [Air]

Jupiter entered Gemini [Air] - 25th/26th May 2024

Jupiter in Gemini [Air] is once every 12 years !

Jupiter in Gemini [Air] - 26th May 2024 => 9th June 2025


"BIGGER THAN BIG" is created by LUCKY Jupiter



"it" is the turn of BIG LUCK for Gemini [Air] energies

Jupiter in Gemini [Air] - May 1988 => July 1989

Jupiter in Gemini [Air] - June 2000 => July 2001

Jupiter in Gemini [Air] - May 2012 => July 2013

Jupiter in Gemini [Air] - 25th May 2024 => June 2025


Jupiter in Gemini [Air] will be impulsive and natural

Jupiter in Gemini [Air] doesn't dead-boring anymore

Jupiter in Gemini [Air] hates depressing and boring

Jupiter in Gemini [Air] wants LOVE & EXCITEMENT

Jupiter in Gemini [Air] wants REAL LIFE excitement


Live-Life & Love-Life with the good energy of everyday

Everything and everyone that defines HAPPINESS to you !

You'll see the bright-lights and ignore dull-and-boring !



Saturn in Pisces [Water]

Saturn in Pisces [Water] - Sincere Relationships of "Forever"

Saturn in Pisces [Water] - 7th March 2023 => May 2025


Past-Present-Future - you never forget good people

Past-Present-Future - you never forget toxic/bad people

Saturn defines Specific Types of People you need

Saturn defines Relationships to ensure "You" are "You"


Saturn creates inexplicable attachments to "good-people"

Saturn creates inexplicable detachments to "bad-people"

Saturn wants you to "finally get your relationships" right

Saturn wants everyone to work-together with others


"Pisces" makes mysterious things just "happen"

Believing in "it" or not - "it" will happen !

"Saturn" is changing everything for every starsign

Saturn wants you to get "stable-honest-relationships"

Saturn wants everyone to "work-together with others"


Life's Success & Happiness is defined by "being connected"

Life's Success & Happiness is created by "working-together"


Saturn & Neptune in Pisces [Water]

What do you "believe"? Who do you "trust"?

Bonds of Karmic & Destined Relationships

Pisces [Water] means "mysterious and magical"



Uranus in Taurus [Earth Sign]

Uranus in Taurus [Earth Sign] - thru' => 2025

Uranus is direct Taurus [Earth] until September 2024


Freedom from thinking negative - Freedom from "Prison"

Uranus sets-you-free because it gives "Choices-of-Freedom"

Uranus desires Freedom - anyone/anything irritating you

Uranus wants you to Love-Life and to stop worrying

Uranus wants you to Set-You-Free from "toxic" people


Uranus in Taurus [Earth] - "setting you free" from negativity

(Materials data that have nothing to do with the page)
P | Below is a relaxed HfOs3Rh crystal, with properties calculated at the GGA-PBE level.

abc: 4.7124 4.7124 4.7124
angles: 90.00 90.00 90.00
With the nearest neighbours (Å) after each atom.
Atoms (fractional coordinates):
1 Hf 0.0000 0.0000 0.0000  6 Os 2.36
2 Os 0.0000 0.0000 0.5000  2 Hf 2.36
3 Os 0.0000 0.5000 0.0000  2 Hf 2.36
4 Os 0.5000 0.0000 0.0000  2 Hf 2.36
5 Rh 0.5000 0.5000 0.5000  12 Os 3.33

- space group = Pm-3m
- crystal system = cubic
- calculated volume (Å³/f.u.) = 104.65

***

Q | Below is a relaxed HfOs3Rh crystal, with properties calculated at the GGA-PBE level.

abc: 4.6402 4.6402 4.6402
angles: 90.00 90.00 90.00
With the nearest neighbours (Å) after each atom.
Atoms (fractional coordinates):
1 Hf 0.0000 0.0000 0.0000  12 Os 3.28
2 Os 0.0000 0.5000 0.5000  2 Rh 2.32
3 Os 0.5000 0.0000 0.5000  2 Rh 2.32
4 Os 0.5000 0.5000 0.0000  2 Rh 2.32
5 Rh 0.5000 0.5000 0.5000  6 Os 2.32

- space group = Pm-3m
- crystal system = cubic
- calculated volume (Å³/f.u.) = 99.91

***

Pick Q: it beats the second-best structure by 64.6 kJ/mol of atoms.

***

P | Below is a relaxed Hf3OsRh2 crystal, with properties calculated at the GGA-PBE level.

abc: 4.6226 4.6226 5.6409
angles: 90.00 90.00 120.00
With the nearest neighbours (Å) after each atom.
Atoms (fractional coordinates):
1 Hf 0.0000 0.0000 0.0000  6 Rh 2.82, 2 Os 2.82
2 Hf 0.3333 0.6667 0.6617  5 Rh 2.80-2.85, 3 Os 2.82
3 Hf 0.6667 0.3333 0.3383  5 Rh 2.80-2.85, 3 Os 2.82
4 Os 0.0000 0.0000 0.5000  8 Hf 2.82
5 Rh 0.3333 0.6667 0.1589  8 Hf 2.80-2.85
6 Rh 0.6667 0.3333 0.8411  8 Hf 2.80-2.85

- space group = P-3m1
- crystal system = trigonal
- calculated volume (Å³/f.u.) = 104.39

***

Q | Below is a relaxed Hf3OsRh2 crystal, with properties calculated at the GGA-PBE level.

abc: 3.2544 3.2544 9.8515
angles: 90.00 90.00 90.00
With the nearest neighbours (Å) after each atom.
Atoms (fractional coordinates):
1 Hf 0.0000 0.0000 0.0000  8 Rh 2.82
2 Hf 0.0000 0.0000 0.3343  4 Os 2.82, 4 Rh 2.84
3 Hf 0.0000 0.0000 0.6657  4 Os 2.82, 4 Rh 2.84
4 Os 0.5000 0.5000 0.5000  8 Hf 2.82
5 Rh 0.5000 0.5000 0.1662  8 Hf 2.82-2.84
6 Rh 0.5000 0.5000 0.8338  8 Hf 2.82-2.84

- space group = P4/mmm
- crystal system = tetragonal
- calculated volume (Å³/f.u.) = 104.34

***

Pick P: it beats the second-best structure by 1.1 kJ/mol of atoms.

***

P | Below is a relaxed HfOsRu2 crystal, with properties calculated at the GGA-PBE level.

abc: 4.4766 4.4766 4.4766
angles: 60.00 60.00 60.00
With the nearest neighbours (Å) after each atom.
Atoms (fractional coordinates):
1 Hf 0.0000 0.0000 0.0000  8 Ru 2.74
2 Os 0.5000 0.5000 0.5000  8 Ru 2.74
3 Ru 0.2500 0.2500 0.2500  4 Os 2.74, 4 Hf 2.74
4 Ru 0.7500 0.7500 0.7500  4 Os 2.74, 4 Hf 2.74

- space group = Fm-3m
- crystal system = cubic
- calculated volume (Å³/f.u.) = 63.43

***

Q | Below is a relaxed HfOsRu2 crystal, with properties calculated at the GGA-PBE level.

abc: 9.4836 9.4836 9.4836
angles: 156.36 156.36 33.68
(Back to the page)

"Freedom from the past" & "goodbye to the past"

Jupiter in Taurus [Earth] - creates the good-luck for Uranus

Receive the financial good-fortune and live-in-freedom



Neptune HOME Pisces [Water Sign]

Neptune HOME Pisces [Water Sign] => 31st March 2025

Neptune creates whatever you "DESIRE & IMAGINE"

When you imagine "it" - you know "it" will happen

Neptune gives the vision - but "some" don't see "it"


All Psychic's feel peaceful because "it" feels good

Nervous people feel unstable because "it" feels bad

Neptune in Pisces since 2012 - you've seen "it" clearly

Neptune & Jupiter in Pisces in 2022 - created "it"

Neptune is creating in REAL life what you IMAGINE


Neptune 29° Pisces [Water]

"Psychic Immediacy ....."


Many people are feeling this psychic "cusp" [Fire] energy

Neptune HOME at 29° Pisces [Water] nearly 0° Aries [Fire]

Neptune sits at 29° Pisces [Water] until end of September 2024


"Psychic Thoughts" are making you feel "EXCITED" [Fire]

"Psychic Thoughts" are making things happen "immediately"

"Psychic Thoughts" are creating "love-at-1st-sight" feelings



Pluto in Aquarius [Air Sign]

Pluto in Aquarius [Air] - 21st January 2024 => 2044

Pluto will creates "intense" & "unforgettable" moments


Age of Aquarius [Air] is all about "The New Future"

Age of Aquarius [Air] is about being Detached from Past

Age of Aquarius [Air] is about being Set-Free from negativity

Aquarius [Air] creates inexplicable excitement of "New"

You can't do anything in life without getting "Excited"


You can't do anything in life without the "right-people"

The surprises will be by "who" defines the "right-people"

The surprises will be by not-needing lots of people !

Pluto in Aquarius wants the "best quality" people for you



"The Biggest Mistake We all Make"

"Feeling Neutral-Nothings is Stupidity"


Stupidity is "Hating" your life Today

Stupidity is being Neutral/Dead-Bored


All you have to do is LOVE THE GOOD ENERGY

All you have to do is IGNORE THE BAD ENERGY






Months Astrological Events

Sun in Leo [Fire] - 22nd July => 22nd August 2024

Full Explanations @ "Sun in Leo - This Month's Astrological Events"


Sun in Virgo [Earth] - 22nd August => 22nd Sept' 2024

Full Explanations @ "Sun in Virgo - Next Month's Astrological Events"


Sun in Libra [Air] - 22nd September => 22nd Oct' 2024

Full Explanations @ "Sun in Libra - Next Next Month's Astrological Events"



You'll always eventually get to Your destination

Even on the pathway You chose to avoid "it"